7 ways to know if you are addicted to chaos

7 ways to know if you are addicted to chaos


  • Chaos addiction
    • 1. Go late
    • 2. Get into debt
    • 3. The fight
    • 5. The tragedy
    • 6. The suffering
    • 7. The fantasy

Chaos addiction

All addiction It is characterized by feeling the imperative need to be in contact with the substance that modifies the status of normality of the body and mind; In the case of chaos It happens similarly, although with the variable that the substance that changes the behavior is produced by our body. Seen in the dictionary, the chaos means disorder and confusion, If we apply it to the matter, these are then people who need to live in the conflict, hurry, misfortune, contradiction and/or anguish. The above causes the human brain to perceive these situations as threats and segregate substances such as adrenalin and the cortisol, whose purpose is to send the emergency signals to the body so that I acted peremptoryly and resolve the event in the act. These substances act as a stimulant; Therefore, when normality is achieved, the effects pass and the person is perceived in a kind of "depression"; generating the need to feel stimulated again, wrapping in the circle of the addiction. All the above is what leads an individual to attract or seek difficulties that generate chaos in their life, Of course, unconsciously.

Basically the individual becomes a Addict to adrenaline and cortisol; However, it develops, because of this, a compulsion behavior to the chaos. Let's look at some forms of your expression:

1. Go late

It is a behavior of people who are continuously rushed, frequently arrive late everywhere, breach their commitments; Usually, they lack hours to finish the day. It is the typical person who is distracted and then Galopa to reach somewhere or perform an activity.

== These molecular data were left in the text by mistake ==
-- begin --
# 1
A molecular structure, C34H89O37S11V, computed with ωB97M-V/def2-TZVPD.

Last column: Löwdin charge in e.
Atoms and positions in Å:
O 0.3104 0.3861 -1.1937  -0.193
V 0.0265 -0.8526 -0.2648  1.003
O -3.0172 1.2173 1.3327  0.148
C -2.0500 0.3600 0.9712  -0.806
O -0.8798 0.4563 1.3709  -0.022
O -2.1427 -0.4616 0.1013  0.011
H -3.7345 0.8061 0.8448  0.035
O -1.4719 2.4037 -2.2884  -0.305
S -1.1197 3.1558 -3.4887  0.656
O -1.2169 2.6143 -4.8144  -0.277
O -1.8235 4.6330 -3.4685  -0.256
C -3.1393 4.6901 -2.9406  -0.302
C -3.8144 5.8370 -3.6470  -0.055
C 0.6626 3.6936 -3.1999  -0.073
H -3.1556 4.7842 -1.8548  0.115
H -3.6552 3.7489 -3.1303  0.090
H -3.1150 6.6583 -3.8035  0.086
H -4.6559 6.2606 -3.0988  0.082
H -4.2143 5.5435 -4.6176  0.085
H 0.9468 4.4858 -3.8925  0.063
H 1.3525 2.8659 -3.3647  0.058
H 0.7435 4.1429 -2.2102  0.051
O 5.1494 2.7912 0.3376  -0.299
S 4.1083 2.6673 -0.6893  0.715
O 2.6923 2.4454 -0.2954  -0.320
O 4.0754 3.9946 -1.6371  -0.294
C 5.2664 4.6614 -2.0021  -0.259
C 5.0047 6.1482 -2.5129  -0.032
C 4.6200 1.3512 -1.9996  -0.046
H 5.7206 4.0348 -2.7697  0.107
H 5.9474 4.6984 -1.1518  0.108
H 4.8909 6.8423 -1.6802  0.064
H 4.1517 6.0770 -3.1878  0.074
H 5.8136 6.4709 -3.1683  0.075
H 5.3459 1.6525 -2.7549  0.068
H 3.7213 0.8182 -2.3102  0.051
H 5.1262 0.5833 -1.4146  0.036
O 0.8162 0.4066 8.3379  -0.301
S 1.2300 -0.3588 7.1443  0.737
O 0.8102 -1.7758 6.9675  -0.320
O 0.8268 0.4156 5.7065  -0.280
C -0.5278 0.4605 5.3374  -0.279
C -0.8666 -0.7354 4.4943  -0.073
C 3.0781 -0.1634 6.9389  -0.085
H -0.6880 1.3520 4.7311  0.121
H -1.2806 0.6052 6.1123  0.133
H -0.1574 -0.7982 3.6689  0.049
H -1.8549 -0.7170 4.0349  0.071
H -0.8677 -1.6944 5.0124  0.076
H 3.2507 -0.6972 6.0044  0.034
H 3.5745 -0.6481 7.7797  0.071
H 3.3976 0.8701 6.8051  0.071
O 1.1859 -2.0724 -4.9628  -0.312
S 0.9910 -0.6574 -5.2300  0.655
O 0.6318 0.2069 -4.1161  -0.289
O 2.3524 -0.0093 -5.8745  -0.247
C 2.8822 -0.5243 -7.0869  -0.310
C 4.3251 -0.1296 -7.2375  -0.062
C -0.2546 -0.5578 -6.6005  -0.073
H 2.3069 -0.4716 -8.0113  0.122
H 2.8862 -1.6119 -7.0138  0.110
H 4.8685 -0.1334 -6.2926  0.083
H 4.4324 0.8990 -7.5817  0.078
H 4.7219 -0.7934 -8.0056  0.088
H -0.2510 0.4615 -6.9866  0.075
H -1.1531 -0.8878 -6.0792  0.053
H -0.0075 -1.2539 -7.4021  0.068
O -0.0365 -2.6435 0.9510  -0.369
S -0.0565 -3.8926 1.7658  0.789
O -1.2711 -4.6478 2.0055  -0.267
O 0.9064 -5.0385 0.9713  -0.270
C 0.9541 -6.2939 1.5359  -0.294
C 1.4359 -7.3674 0.4540  -0.024
C 1.0070 -3.6201 3.3107  -0.034
H -0.0433 -6.6235 1.8272  0.108
H 1.5871 -6.3289 2.4226  0.116
H 1.0030 -8.3408 0.6848  0.074
H 2.5043 -7.5831 0.4474  0.064
H 1.0152 -7.1040 -0.5164  0.058
H 2.0535 -3.6543 3.0076  0.067
H 0.8369 -4.4603 3.9839  0.080
H 0.8499 -2.6599 3.8021  0.037
O -6.8965 -1.7457 5.5791  -0.285
S -6.8921 -1.1708 4.2450  0.672
O -6.7251 0.2585 3.9951  -0.298
O -5.9184 -2.1027 3.2192  -0.251
C -4.5831 -1.5767 3.0617  -0.285
C -3.7259 -2.5592 2.2906  -0.053
C -8.4652 -1.6189 3.5318  -0.121
-- stop --

2. Get into debt

Debts either with the bank, friends, some type of business, etc., It represents that this individual is left over days to reach the end of the month, being the prototype of someone unable to say "No", When they offer you something. It is characterized by the disorder in their economy, they are distressed and agitated every term of the month.

3. The fight

Here we find beings who live looking for dispute or discussion with others, are in constant attitude of defense and in active attack position. Depending on the interlocutor possibly pass from verbal aggression to physics. It is the typical person who focuses on the minimum details and is perceived offended with nimios gestures, behaviors or words of the others.

They are the beings that find in the illness a way of living, they know the names of the medicines, the protocols of action in emergency or severity events, they read obsessively about the various pathologies, even “they know more than the doctor”.

5. The tragedy

It is a way of living in excitement, they are individuals who look at the negative or calamitous side of each situation; They speak, read and think about terrible and catastrophic events and tragic stories that possibly manage to materialize in their life: accidental, getting sick, enhancing, etc.

6. The suffering

They are the "free sufferers"; that is, those individuals who carry the problems of others as if they were their own, especially when they do not have one. The latter resembles a story that grandparents told about women who hired in some burials of people to cry a dead man who did not know; The fact was associated as a sample of "a Good burial ". Which is an example of the prize that society gave and continues to give (in other ways) to suffering, favoring victimhood in certain people.

<<<
# 1
{
  "formula": "C2H17NO5",
  "method": "wB97M-V/def2-TZVPD",
  "orbital_gap_ha": 0.4029,
  "lumo_energy_ha": 0.0173,
  "multiplicity": 1,
  "homo_energy_ha": -0.38554,
  "species": ["H", "H", "O", "H", "H", "N", "H", "H", "H", "H", "H", "O", "C", "O", "O", "H", "H", "H", "C", "H", "H", "H", "H", "O", "H"],
  "positions_angstrom": [[0.47, 1.36, -0.79], [0.12, 2.77, -0.09], [0.53, 2.34, -0.83], [-3.77, -0.41, 0.00], [-1.69, -0.33, -1.24], [-0.77, -1.04, 0.57], [-3.72, -2.09, -0.48], [1.85, 0.39, 0.67], [0.21, 0.29, 3.70], [0.31, -0.72, 0.04], [-1.49, -2.10, -1.08], [1.33, -0.34, -0.53], [-3.17, -1.31, 0.07], [0.06, 0.49, 2.77], [2.35, 0.76, 1.46], [1.10, 0.63, -3.66], [2.19, 1.70, 1.63], [-3.29, -1.52, 1.14], [-1.80, -1.19, -0.58], [1.93, -0.99, -0.92], [-1.09, -0.26, 1.13], [0.97, 0.52, 2.34], [0.89, 0.02, -2.23], [0.75, -0.13, -3.18], [-0.81, -1.93, 1.05]],
  "nbo_charge": [0.4886, 0.4695, -0.9702, 0.2233, 0.2256, -0.7638, 0.2233, 0.5045, 0.4733, 0.4666, 0.2043, -1.1224, -0.6591, -1.0272, -0.9936, 0.4711, 0.4733, 0.2224, -0.2193, 0.4965, 0.4230, 0.4952, 0.4870, -0.9862, 0.3941]
}



# 2
{
  "formula": "C44H63N3O24",
  "method": "wB97M-V/def2-TZVPD",
  "orbital_gap_ha": 0.2958,
  "lumo_energy_ha": -0.0042,
  "smiles": "C[C@H]1COC(=O)O1.C[C@H]1COC(=O)O1.C[C@H]1COC(=O)O1.C[C@H]1COC(=O)O1.C[C@H]1COC(=O)O1.C[C@H]1COC(=O)O1.C[C@H]1COC(=O)O1.C[C@H]1COC(=O)O1.c1cc[nH]c1.c1cc[nH]c1.c1cc[nH]c1",
  "multiplicity": 1,
  "homo_energy_ha": -0.29998,
  "species": ["H", "N", "H", "O", "H", "H", "C", "H", "H", "C", "O", "H", "C", "H", "H", "H", "C", "H", "C", "O", "H", "H", "C", "H", "O", "O", "C", "C", "H", "C", "O", "C", "H", "O", "H", "H", "H", "C", "C", "H", "C", "C", "C", "H", "C", "O", "C", "H", "H", "H", "H", "H", "H", "H", "H", "H", "C", "H", "C", "C", "O", "N", "H", "C", "H", "H", "C", "O", "H", "H", "H", "H", "O", "O", "C", "H", "C", "C", "H", "C", "H", "H", "H", "H", "C", "H", "H", "H", "H", "C", "C", "C", "H", "C", "C", "N", "H", "H", "H", "H", "C", "C", "O", "C", "O", "H", "H", "O", "C", "O", "O", "O", "O", "C", "H", "O", "C", "H", "O", "O", "H", "C", "C", "H", "C", "H", "C", "C", "H", "H", "H", "O", "O", "C"],
>>>

7. The fantasy

These are people who recreate past or future stories or events that never made or come to live. They evade the present moment with their mental elucubrations. They build in their mind images, dialogues and scenes that end up believing real, in pathological cases. The nuance to differentiate with what it means to dream and aspire, is that these people never work to materialize their fantasies (clear goals).

The compulsion a chaos It is an emotional conflict that can lead to misfortune. To overcome it, it is necessary for the person to recognize and face him; In the first extent, it will be enough to order your life, it is as simple as that there can be no bed in the bathroom, nor in the kitchen the sink, it is common sense, for example: for those who lack hours of the day, they will need carry and Fulfill an agenda, They are beings that when they get up do not know where to start; For those who borrow, as organizing the economy, doing The accounts with pencil and paper, aiming everything that is spent at the beginning and thus identify how they use their money, then distributing it and paying the debts, although at first it is paid only. In sum, they require commitment to themselves and leave the puerile attitude that characterizes them.

A person can present one or several of the ways we have exposed and even all. The relevant thing is to reflect and become aware of the possibility of holding this compulsion and if there is difficulty or impossibility to modify behavior, I recommend that professional help be attended or sought.

There is a film that has inspired me to write this article, which shows a typical behavior of compulsion to the chaos, which is titled "To the limit of truth". I highly recommend it, if you have worried the subject.